To do:
Could you quote the calculation results underneath unchanged?

File:
********
1.
NdSmMgMn after structural relaxation, computed with PBE-GGA.

Lattice parameters (Å, degrees): 5.323 5.323 5.323 60.00 60.00 60.00
Sites, in units of the cell vectors:
Nd 0.000 0.000 0.000
Sm 0.500 0.500 0.500
Mg 0.750 0.750 0.750
Mn 0.250 0.250 0.250

Results
energy = -4.9443 eV per atom
energy of formation = 0.119 eV per atom


2.
Pa2HgW after structural relaxation, computed with PBE-GGA.

Lattice parameters (Å, degrees): 3.201 3.201 9.014 90.00 90.00 90.00
Sites, in units of the cell vectors:
Pa 0.000 0.000 0.217
Pa 0.000 0.000 0.783
Hg 0.500 0.500 0.500
W 0.500 0.500 0.000

Results
E above lowest polymorph = 0.00 eV per formula unit
energy = -7.9030 eV per atom
energy of formation = 0.159 eV per atom


3.
Li6In2H after structural relaxation, computed with PBE-GGA.

Lattice parameters (Å, degrees): 5.927 5.927 5.927 120.33 120.33 89.42
Sites, in units of the cell vectors:
Li 0.240 0.240 0.480
Li 0.240 0.760 0.000
Li 0.241 0.241 0.000
Li 0.759 0.759 0.000
Li 0.760 0.240 0.000
Li 0.760 0.760 0.520
In 0.250 0.750 0.500
In 0.750 0.250 0.500
H 0.000 0.000 0.000

Results
energy = -2.5130 eV per atom


4.
Tb2Dy2ErMg5 after structural relaxation, computed with PBE-GGA.

Lattice parameters (Å, degrees): 10.549 10.549 5.055 90.00 90.00 90.00
Sites, in units of the cell vectors:
Tb 0.178 0.322 0.000
Tb 0.322 0.822 0.000
Tb 0.678 0.178 0.000
Tb 0.822 0.678 0.000
Dy 0.120 0.620 0.000
Dy 0.380 0.120 0.000
Dy 0.620 0.880 0.000
Dy 0.880 0.380 0.000
Er 0.000 0.000 0.000
Er 0.500 0.500 0.000
Mg 0.000 0.500 0.500
Mg 0.070 0.803 0.500
Mg 0.197 0.070 0.500
Mg 0.303 0.570 0.500
Mg 0.430 0.303 0.500
Mg 0.500 0.000 0.500
Mg 0.570 0.697 0.500
Mg 0.697 0.430 0.500
Mg 0.803 0.930 0.500
Mg 0.930 0.197 0.500

Results
energy = -3.0265 eV per atom
energy of formation = 0.074 eV per atom


5.
KZn3O after structural relaxation, computed with PBE-GGA.

Lattice parameters (Å, degrees): 4.715 4.715 4.715 90.00 90.00 90.00
Sites, in units of the cell vectors:
K 0.000 0.000 0.000
Zn 0.000 0.500 0.500
Zn 0.500 0.000 0.500
Zn 0.500 0.500 0.000
O 0.500 0.500 0.500

Results
raw formation energy = 0.98 eV/f.u.
energy = -1.7795 eV per atom


6.
KCu2SnSe4 after structural relaxation, computed with PBE-GGA.

Lattice parameters (Å, degrees): 6.615 6.615 6.615 118.45 118.45 92.70
Sites, in units of the cell vectors:
K 0.000 0.000 0.000
Cu 0.250 0.750 0.500
Cu 0.750 0.250 0.500
Sn 0.500 0.500 0.000
Se 0.113 0.113 0.574
Se 0.461 0.887 0.000
Se 0.539 0.539 0.426
Se 0.887 0.461 0.000

Results
raw formation energy = -3.19 eV/f.u.
energy = -3.8027 eV per atom


7.
Ac6SmTl2 after structural relaxation, computed with PBE-GGA.

Lattice parameters (Å, degrees): 10.539 10.539 6.655 94.65 94.65 73.29
Sites, in units of the cell vectors:
Ac 0.065 0.820 0.990
Ac 0.143 0.402 0.171
Ac 0.180 0.935 0.510
Ac 0.245 0.525 0.686
Ac 0.402 0.143 0.671
Ac 0.475 0.755 0.814
Ac 0.525 0.245 0.186
Ac 0.598 0.857 0.329
Ac 0.755 0.475 0.314
Ac 0.820 0.065 0.490
Ac 0.857 0.598 0.829
Ac 0.935 0.180 0.010
Sm 0.391 0.609 0.250
Sm 0.609 0.391 0.750
Tl 0.036 0.285 0.588
Tl 0.285 0.036 0.088
Tl 0.715 0.964 0.912
Tl 0.964 0.715 0.412

Results
E above lowest polymorph = 0.57 eV per formula unit
energy = -3.8632 eV per atom
energy of formation = -0.074 eV per atom


8.
CeHoCuPb after structural relaxation, computed with PBE-GGA.

Lattice parameters (Å, degrees): 5.269 5.269 5.269 60.00 60.00 60.00
Sites, in units of the cell vectors:
Ce 0.000 0.000 0.000
Ho 0.500 0.500 0.500
Cu 0.750 0.750 0.750
Pb 0.250 0.250 0.250

Results
energy = -4.7858 eV per atom
energy of formation = -0.207 eV per atom


9.
NaLiTm2 after structural relaxation, computed with PBE-GGA.

Lattice parameters (Å, degrees): 12.289 12.289 12.289 15.60 15.60 15.60
Sites, in units of the cell vectors:
Na 0.000 0.000 0.000
Li 0.500 0.500 0.500
Tm 0.094 0.094 0.094
Tm 0.906 0.906 0.906

Results
energy = -2.7504 eV per atom
energy of formation = 0.294 eV per atom


10.
NiAsSe after structural relaxation, computed with PBE-GGA.
********

Completed:
1.
NdSmMgMn after structural relaxation, computed with PBE-GGA.

Lattice parameters (Å, degrees): 5.323 5.323 5.323 60.00 60.00 60.00
Sites, in units of the cell vectors:
Nd 0.000 0.000 0.000
Sm 0.500 0.500 0.500
Mg 0.750 0.750 0.750
Mn 0.250 0.250 0.250

Results
energy = -4.9443 eV per atom
energy of formation = 0.119 eV per atom


2.
Pa2HgW after structural relaxation, computed with PBE-GGA.

Lattice parameters (Å, degrees): 3.201 3.201 9.014 90.00 90.00 90.00
Sites, in units of the cell vectors:
Pa 0.000 0.000 0.217
Pa 0.000 0.000 0.783
Hg 0.500 0.500 0.500
W 0.500 0.500 0.000

Results
E above lowest polymorph = 0.00 eV per formula unit
energy = -7.9030 eV per atom
energy of formation = 0.159 eV per atom


3.
Li6In2H after structural relaxation, computed with PBE-GGA.

Lattice parameters (Å, degrees): 5.927 5.927 5.927 120.33 120.33 89.42
Sites, in units of the cell vectors:
Li 0.240 0.240 0.480
Li 0.240 0.760 0.000
Li 0.241 0.241 0.000
Li 0.759 0.759 0.000
Li 0.760 0.240 0.000
Li 0.760 0.760 0.520
In 0.250 0.750 0.500
In 0.750 0.250 0.500
H 0.000 0.000 0.000

Results
energy = -2.5130 eV per atom


4.
Tb2Dy2ErMg5 after structural relaxation, computed with PBE-GGA.

Lattice parameters (Å, degrees): 10.549 10.549 5.055 90.00 90.00 90.00
Sites, in units of the cell vectors:
Tb 0.178 0.322 0.000
Tb 0.322 0.822 0.000
Tb 0.678 0.178 0.000
Tb 0.822 0.678 0.000
Dy 0.120 0.620 0.000
Dy 0.380 0.120 0.000
Dy 0.620 0.880 0.000
Dy 0.880 0.380 0.000
Er 0.000 0.000 0.000
Er 0.500 0.500 0.000
Mg 0.000 0.500 0.500
Mg 0.070 0.803 0.500
Mg 0.197 0.070 0.500
Mg 0.303 0.570 0.500
Mg 0.430 0.303 0.500
Mg 0.500 0.000 0.500
Mg 0.570 0.697 0.500
Mg 0.697 0.430 0.500
Mg 0.803 0.930 0.500
Mg 0.930 0.197 0.500

Results
energy = -3.0265 eV per atom
energy of formation = 0.074 eV per atom


5.
KZn3O after structural relaxation, computed with PBE-GGA.

Lattice parameters (Å, degrees): 4.715 4.715 4.715 90.00 90.00 90.00
Sites, in units of the cell vectors:
K 0.000 0.000 0.000
Zn 0.000 0.500 0.500
Zn 0.500 0.000 0.500
Zn 0.500 0.500 0.000
O 0.500 0.500 0.500

Results
raw formation energy = 0.98 eV/f.u.
energy = -1.7795 eV per atom


6.
KCu2SnSe4 after structural relaxation, computed with PBE-GGA.

Lattice parameters (Å, degrees): 6.615 6.615 6.615 118.45 118.45 92.70
Sites, in units of the cell vectors:
K 0.000 0.000 0.000
Cu 0.250 0.750 0.500
Cu 0.750 0.250 0.500
Sn 0.500 0.500 0.000
Se 0.113 0.113 0.574
Se 0.461 0.887 0.000
Se 0.539 0.539 0.426
Se 0.887 0.461 0.000

Results
raw formation energy = -3.19 eV/f.u.
energy = -3.8027 eV per atom


7.
Ac6SmTl2 after structural relaxation, computed with PBE-GGA.

Lattice parameters (Å, degrees): 10.539 10.539 6.655 94.65 94.65 73.29
Sites, in units of the cell vectors:
Ac 0.065 0.820 0.990
Ac 0.143 0.402 0.171
Ac 0.180 0.935 0.510
Ac 0.245 0.525 0.686
Ac 0.402 0.143 0.671
Ac 0.475 0.755 0.814
Ac 0.525 0.245 0.186
Ac 0.598 0.857 0.329
Ac 0.755 0.475 0.314
Ac 0.820 0.065 0.490
Ac 0.857 0.598 0.829
Ac 0.935 0.180 0.010
Sm 0.391 0.609 0.250
Sm 0.609 0.391 0.750
Tl 0.036 0.285 0.588
Tl 0.285 0.036 0.088
Tl 0.715 0.964 0.912
Tl 0.964 0.715 0.412

Results
E above lowest polymorph = 0.57 eV per formula unit
energy = -3.8632 eV per atom
energy of formation = -0.074 eV per atom


8.
CeHoCuPb after structural relaxation, computed with PBE-GGA.

Lattice parameters (Å, degrees): 5.269 5.269 5.269 60.00 60.00 60.00
Sites, in units of the cell vectors:
Ce 0.000 0.000 0.000
Ho 0.500 0.500 0.500
Cu 0.750 0.750 0.750
Pb 0.250 0.250 0.250

Results
energy = -4.7858 eV per atom
energy of formation = -0.207 eV per atom


9.
NaLiTm2 after structural relaxation, computed with PBE-GGA.

Lattice parameters (Å, degrees): 12.289 12.289 12.289 15.60 15.60 15.60
Sites, in units of the cell vectors:
Na 0.000 0.000 0.000
Li 0.500 0.500 0.500
Tm 0.094 0.094 0.094
Tm 0.906 0.906 0.906

Results
energy = -2.7504 eV per atom
energy of formation = 0.294 eV per atom


10.
NiAsSe after structural relaxation, computed with PBE-GGA.